EU Food Standards? Don't Make Me Laugh
Photo of a British pig farm. Outdoor rearing. Happy little piggies with the freedom to run around playing.
Latest EU rules mean the pork they export to the UK contains “abscesses, pus and TB material”, say EU’s own safety inspectors
In recent weeks the National Farmers’ Union and others have been gaining significant media coverage in their outrage over the possibility that Brexit Britain might in the future import more of its food from countries such as Australia, New Zealand, and the United States.
One of their key arguments relates to food safety. They claim that the British consumer will be inundated with unsafe meat. Therefore I looked at the EU’s recent lowering of safety standards for the far higher quantities of imported meat from the EU which we have been eating for years.
If the EU wants to portray itself as a responsible regulator of food safety standards, it might be thought that they would be strengthening food safety regulations in order to protect the public, not rowing back on them. Not so, according to the European Working Community for Food Inspection and Consumer Protection (EFWFC) which represents the EU’s meat inspectors.
The EU has actually lowered its food safety requirements. Yes, you heard right. The EU has actually lowered its food safety requirements
“Consumers are being exposed to an “avoidable risk” of disease after a reduction of official controls in food inspections of pig and poultry carcasses across the EU. Diseased meat is being eaten by consumers in the UK and EU, including pus from abscesses and tuberculosis lesions from pigs’ heads.”
The European Working Community for Food Inspection and Consumer Protection (EFWFC), 15 Sept 2020
The EU has introduced new measures for checking pigs entering the food chain. This reduced the requirement for checking pig meat from a thorough inspection to a visual-only inspection. A visual-only inspection misses underlying diseases. In the words of Ron Spellman, the Deputy Secretary of the European Working Community for Food Inspection and Consumer Protection (EFWFC) which represents EU meat inspectors.
“Inspectors stopped cutting lymph nodes in pigs’ heads, which are known to contain abscesses and tuberculosis lesions. Under previous systems, the pigs’ head would have been rejected for food, but now the meat is minced to make sausages and meat pies, spreading the pus from the abscesses and TB material throughout these products.”
“I don’t think you can prove it’s safe to feed people abscesses, pus and TB material.”
Mr Spelman also speculated on the reasons for the EU’s reduction in its food safety requirement
“These changes are motivated not by science or a desire to protect the consumer but are politically motivated to give the [EU] meat industry what they want: the reductions and eventual removal of official independent meat inspection.”
EU27’s meat-related exports to the UK in 2020
UK’s imports of EU27 beef: £1.2 billion
UK’s imports of EU27 pork: £2.3 billion
UK’s imports of EU27 poultry: £1.5 billion
UK’s imports of EU27 lamb: £0.1 billion
UK’s imports of EU27 dairy: £2.5 billion
Total: £7.6 billion of meat-related imports from the EU in 2020
Source: European Commission Agridata for 2020.
We are eating EU27 meat
Every year in the UK around eight million pigs are slaughtered for meat and the UK also imports pork meat from EU27 countries, partly because of British consumers’ preference for certain cuts such as pork chops. Meat from pigs’ heads is recovered by specialised boning plants and goes into pies, sausages and other processed foods. Millions of us consume this meat many times each year.
The UK’s farming sector rears millions of animals of all kinds for meat consumption, but the British consumer still eats over a quarter of this meat from the EU27 countries, and from further afield. According to the British Meat Processors Association, the pro-EU trade body:
“Popular cuts of meat still need to be imported to meet the UK’s needs. Meat processing companies rely on imports for 26% of their supply, with the rest coming from UK farms.”
The size of the food safety problem
I looked at the Food Standards Agency’s (FSA) report from January of last year. Here is what they said about ‘foodborne diseases’ — which most people would refer to as ‘food poisoning’
“We estimate that there were 2.4 million cases of foodborne disease in the UK in 2018, with 222,000 GP presentations and 16,400 hospital admissions.”
“Foodborne Disease Estimates for the United Kingdom in 2018”, FSA Report Jan 2020
By any measure, this effect on public health from 2.4 million cases of ‘foodborne diseases’ in one year is highly significant.
So what does the EU Commission have to say about all of this?
The EU Commission’s justification for the reduction in meat inspections is that the cutting up of pig carcasses as part of meat inspections increases the risk of harmful bacteria spreading onto the meat.
A spokesperson for the European Commission said: “Any meat with lesions indicating an animal disease such as TB, or abscesses, or any pathological or organoleptic changes, must be considered as unfit for human consumption and not be placed on the market.”
The meat inspectors would doubtless agree with these worthy sentiments. However, the problem as they see it is that the EU has reduced its safety requirements and ordered visual-only inspections of pigs. As the European Working Community for Food Inspection and Consumer Protection says: “There’s no way to see those little abscesses, little tuberculosis lesions, without cutting those lymph nodes.”
What comes next are records of molecules, not part of the article >
No. 1
I wrote an article on this in October last year.
In the case of food safety standards above it seems that the EU claims one thing and does another.
“You are what you eat”, as the saying goes. If that is the case then we are now worried about all the barbecued pork sausages we would normally consume over the summer. And we will never look at a pork pie in quite the same way again. I certainly don't, I like Pork Pies, however, I now buy them from butchers on the high street who use British pork and make them themselves. I now never buy them from the supermarkets that get them from the large food manufacturing factories that will be using EU pork meat that has these abscesses, little tuberculosis lesions, and I advise people to do the same, its also the same with pork sausages, I buy them from local butchers on the high street who use decent British meat.
However Help is at hand, and it’s called being an independent country again
As a result of Great Britain adopting all the EU’s laws and Directives following Brexit, Great Britain is still bound by the EU’s rules on food safety. Previously if the UK as a whole had wished to restore the previous rules where our meat inspectors could do more than a visual inspection of a pig that might be infected, we could not have done so.
Sadly Northern Ireland is still part of the EU’s Single Market, with all EU Directives permanently in place. For Great Britain, however, from 01 January 2021, we were able to start setting our own rules. To date, DEFRA (the UK’s Department for Environment, Food, and Rural Affairs) has not made these vital changes.
The scare stories from pro-EU, UK bodies about trade deals with the likes of Australia and the USA
All we ever seem to hear from all the pro-EU trade bodies in the UK are warnings of lowering food safety standards by virtue of new trade deals in the offing with the rest of the world. I find it interesting that not one whiff of criticism or even concern ever seems to be directed at the massive imports of imported food from the EU.
In my example above I focused on one such concern: imported EU pork meat. Pork is not an isolated case, however. Don’t even get me started on chickens and eggs from the EU, or we will be here for a lot longer.
1.
The following is a DFT calculation (wB97M-V/def2-TZVPD) of 11 unconnected molecules or ions with the total composition C38H48Br14N4O8 in a non-equilibrium geometry.

XYZ file:
```
112
C38H48Br14N4O8, DFT wB97M-V/def2-TZVPD
H -4.832 0.320 2.661
H 7.281 1.504 -2.919
C 5.522 -3.109 2.935
C -0.359 -0.733 -0.143
Br -6.706 6.465 -0.699
N 1.965 -1.891 3.363
C -0.335 -5.369 -2.389
H -1.411 5.470 3.169
N 4.823 2.268 -3.626
H 3.498 6.637 -1.691
H 3.619 5.357 -2.951
H 1.607 -2.514 -6.757
H 2.349 3.819 -1.233
O 1.211 -6.038 -0.871
N 0.648 -5.076 -1.308
Br -2.712 -4.786 0.190
Br 0.801 5.327 -2.514
C 1.815 -3.084 -5.852
H 6.430 -3.195 3.513
H -3.657 4.493 0.653
O 0.765 -3.994 -0.722
O 0.911 -1.852 2.752
Br 5.143 4.889 -1.041
C 0.073 1.341 -1.179
C 4.346 -2.529 3.510
Br -1.385 6.562 0.277
H -2.864 -5.843 -5.376
C 0.111 0.008 -1.239
H 0.652 -0.509 -2.017
Br -7.266 0.527 3.375
C 6.899 -0.234 -1.752
C 3.121 -2.532 2.870
H -2.733 -3.752 -4.193
C -0.994 -0.101 0.920
Br 1.633 -1.910 -4.251
C 0.885 -4.240 -5.626
Br -4.290 4.737 5.282
H -1.392 -7.682 -4.695
H -0.203 8.121 2.002
C -1.257 -4.420 -2.729
O 5.683 2.826 -4.254
C -1.303 -5.357 2.628
H -4.503 6.874 0.269
C 4.628 -0.970 -1.676
Br -5.326 0.372 6.497
C -4.744 6.017 -0.359
C 3.543 5.565 -1.884
C 5.970 -1.123 -1.295
H 2.181 -3.047 1.018
C -1.240 -6.749 -4.173
Br -6.413 -0.518 0.083
O 3.681 2.524 -3.708
C -1.486 -4.241 1.574
H -3.395 2.678 6.501
H 4.239 -4.229 0.098
O -2.529 1.453 2.926
H 3.877 -1.658 -1.317
H 0.444 -7.263 -3.051
Br -0.368 -4.678 4.242
H -6.124 2.445 5.298
C -1.068 1.286 0.940
Br 0.769 -5.346 -7.236
H 1.181 -4.757 -4.713
C 5.183 1.030 -2.852
O -2.129 3.167 1.813
C -0.567 6.144 3.019
H -5.101 3.922 -0.172
H -0.710 -6.173 2.214
H -5.737 2.766 6.990
O 1.994 -1.391 4.486
C 3.103 -3.130 1.575
Br 1.043 5.302 2.231
H 0.437 1.826 -2.073
C -4.056 2.783 5.640
H -4.250 5.981 -1.330
Br -5.685 4.893 2.095
C -5.398 2.256 6.089
H 4.360 -2.072 4.489
H 2.845 -3.440 -5.851
H 7.958 -0.233 -1.541
C -5.812 1.217 0.930
H -2.282 -5.804 2.797
N -1.954 1.982 1.981
C -0.337 -6.530 -3.187
C -0.928 7.309 2.056
C -0.533 2.042 -0.099
H 2.031 5.379 -0.335
C 4.251 -3.680 1.028
C 5.477 -3.655 1.645
H -4.899 1.565 0.448
H -6.609 1.918 0.681
C 6.522 0.812 -2.584
H -0.227 6.575 3.961
H -1.910 7.724 2.283
C -4.692 4.742 0.417
H -1.399 -3.479 -2.219
H -0.191 -1.799 -0.082
H -0.525 3.120 -0.158
C 4.242 0.134 -2.388
H -1.441 -0.621 1.754
H -3.681 2.200 4.799
H -5.365 2.026 2.958
C -5.583 1.083 2.456
C -2.180 -5.776 -4.543
H 6.280 -1.950 -0.674
H -0.510 -4.044 1.131
H 6.321 -4.008 1.072
C -2.119 -4.580 -3.870
H -0.111 -3.835 -5.445
H -1.998 -3.381 2.006
H 3.169 0.225 -2.470
C 2.290 4.906 -1.282
```

Total energy: -38333.51244 Eh
Energy above the lowest of the compared OMol25 structures with the same formula, charge and spin: 30.48 kcal per mole
Net charge: 0
SMILES: O=[N+]([O-])c1ccccc1.O=[N+]([O-])c1ccccc1.O=[N+]([O-])c1ccccc1.O=[N+]([O-])c1ccccc1.BrCCBr.BrCCBr.BrCCBr.BrCCBr.BrCCBr.BrCCBr.BrCCBr
Maximum force: 0.084 Eh/bohr

***

2.
[ Sources: European Working Community for Food Inspection and Consumer Protection | European Food Safety Authority | European Centre for Disease Prevention and Control | The Association of Meat Inspectors Trust | Food Standards Authority | DEFRA | European Commission ]